Could you print everything below without altering anything?

********
164
Properties=species:S:1:pos:R:3:lowdin_charge:R:1 method="wB97M-V/def2-TZVPD" mol_weight_g_mol=1064.41 total_charge=+1 lumo_energy_ev=-8.23 orbital_gap_ha=0.03276 homo_energy_ev=-9.124
Zn -2.91 2.67 -6.02 1.365
B -0.49 1.99 -0.76 -1.526
F -0.40 0.69 -0.39 0.140
F -1.22 2.61 0.17 0.159
F 0.72 2.60 -0.95 0.124
F -1.19 1.93 -1.91 0.114
C 4.75 -3.99 3.77 -0.823
O 4.34 -5.13 3.67 0.031
N 4.46 -3.14 2.85 0.155
N 5.51 -3.47 4.67 0.169
H 4.88 -2.23 2.86 0.107
H 4.01 -3.35 1.97 0.125
H 5.86 -4.06 5.42 0.122
H 6.00 -2.59 4.58 0.114
C 5.40 -12.11 5.09 -0.106
O 4.55 -11.87 3.95 -0.175
C 5.32 -11.27 2.91 -0.251
C 4.56 -11.20 1.66 -0.255
N 3.17 -10.90 1.86 -0.038
C 2.36 -11.00 0.58 -0.161
C 2.65 -9.98 -0.51 -0.277
O 2.45 -8.72 -0.05 -0.176
C 1.17 -8.22 -0.23 -0.117
H 5.14 -13.03 5.62 0.081
H 5.14 -11.35 5.82 0.079
H 6.47 -12.02 4.97 0.080
H 6.29 -11.76 2.84 0.117
H 5.55 -10.26 3.25 0.124
H 4.69 -12.17 1.17 0.128
H 4.90 -10.38 1.03 0.116
H 3.22 -9.92 2.11 0.107
H 1.37 -10.87 1.00 0.105
H 2.32 -12.01 0.17 0.114
H 2.18 -10.24 -1.46 0.120
H 3.70 -10.00 -0.81 0.115
H 0.68 -8.39 -1.19 0.088
H 1.26 -7.13 -0.14 0.091
H 0.62 -8.62 0.61 0.091
C 2.19 -3.04 10.56 -0.113
O 0.88 -2.60 10.22 -0.216
C 0.58 -1.27 10.72 -0.211
C -0.93 -1.16 10.58 -0.198
N -1.28 -0.62 9.24 -0.062
C -0.66 -1.43 8.17 -0.188
C -1.21 -1.00 6.74 -0.209
O -2.60 -1.26 6.77 -0.213
C -3.25 -0.87 5.53 -0.090
H 2.89 -2.38 10.03 0.083
H 2.44 -4.05 10.26 0.086
H 2.45 -2.96 11.61 0.079
H 1.02 -0.41 10.21 0.122
H 0.99 -1.25 11.73 0.113
H -1.21 -0.46 11.37 0.107
H -1.51 -2.05 10.80 0.119
H -2.25 -0.86 9.10 0.086
H -0.92 -2.47 8.34 0.121
H 0.38 -1.11 8.14 0.111
H -0.79 -1.67 5.99 0.116
H -0.98 0.03 6.50 0.116
H -4.31 -1.14 5.60 0.084
H -2.88 -1.47 4.70 0.076
H -3.01 0.13 5.19 0.083
C 8.30 -1.47 -5.39 -0.107
O 7.09 -2.00 -5.92 -0.215
C 5.84 -1.59 -5.24 -0.177
C 4.75 -2.69 -5.39 -0.225
N 4.37 -2.81 -6.79 -0.070
C 3.89 -4.17 -7.19 -0.178
C 3.98 -4.26 -8.72 -0.245
O 5.35 -4.53 -9.00 -0.172
C 5.53 -4.54 -10.44 -0.104
H 8.44 -1.69 -4.33 0.084
H 8.33 -0.39 -5.52 0.080
H 9.07 -1.91 -6.03 0.089
H 5.47 -0.67 -5.70 0.112
H 5.99 -1.47 -4.17 0.114
H 3.92 -2.50 -4.71 0.113
H 5.23 -3.58 -5.00 0.112
H 5.22 -2.67 -7.32 0.088
H 2.95 -4.54 -6.78 0.113
H 4.66 -4.81 -6.76 0.112
H 3.56 -3.38 -9.21 0.117
H 3.39 -5.12 -9.04 0.115
H 6.42 -5.09 -10.76 0.089
H 5.47 -3.55 -10.88 0.081
H 4.76 -5.00 -11.06 0.075
C -8.51 5.93 2.55 -0.079
O -7.48 6.77 1.97 -0.201
C -7.78 7.81 1.09 -0.213
C -6.46 8.70 1.00 -0.186
N -5.41 7.96 0.32 -0.079
C -4.11 8.64 0.30 -0.190
C -4.24 9.88 -0.61 -0.243
O -4.74 9.61 -1.92 -0.181
C -5.19 10.74 -2.64 -0.119
H -9.25 6.45 3.16 0.081
H -8.01 5.33 3.31 0.080
H -9.01 5.24 1.87 0.080
H -8.58 8.48 1.42 0.114
H -8.00 7.43 0.09 0.113
H -6.18 8.99 2.01 0.115
H -6.66 9.62 0.46 0.106
H -5.19 7.04 0.68 0.108
H -3.24 8.10 -0.05 0.119
H -3.90 8.95 1.32 0.114
H -3.30 10.43 -0.54 0.115
H -4.83 10.67 -0.14 0.101
H -4.43 11.37 -3.08 0.086
H -5.99 11.27 -2.11 0.088
H -5.74 10.40 -3.52 0.073
C -4.70 0.53 -4.90 -0.058
O -3.91 0.72 -6.08 -0.265
C -3.63 -0.56 -6.66 -0.139
C -2.51 -0.38 -7.73 -0.163
N -1.51 0.58 -7.29 -0.061
C -0.80 1.22 -8.38 -0.195
C 0.00 2.36 -7.81 -0.117
O -0.83 3.00 -6.79 -0.273
C -0.24 4.11 -6.19 -0.090
H -4.48 -0.29 -4.22 0.123
H -5.77 0.49 -5.08 0.111
H -4.60 1.43 -4.29 0.091
H -4.59 -0.94 -7.00 0.147
H -3.23 -1.31 -5.98 0.140
H -3.05 0.06 -8.57 0.119
H -2.17 -1.29 -8.23 0.144
H -0.70 0.08 -6.96 0.141
H -1.47 1.54 -9.18 0.134
H -0.08 0.55 -8.85 0.144
H 0.09 3.09 -8.61 0.146
H 0.96 2.07 -7.38 0.154
H 0.01 4.94 -6.85 0.108
H 0.77 3.85 -5.87 0.114
H -0.75 4.57 -5.35 0.107
C -2.92 5.65 8.69 -0.202
C -3.84 5.14 7.52 -0.249
O -4.94 6.02 7.46 -0.073
O -1.71 4.91 8.65 -0.106
H -3.26 5.36 9.68 0.117
H -2.55 6.68 8.61 0.125
H -4.26 4.15 7.68 0.115
H -3.32 5.10 6.56 0.118
H -5.27 5.73 6.61 0.077
H -1.90 3.98 8.66 0.076
C -6.23 5.87 -5.91 -0.232
C -5.95 5.82 -7.42 -0.215
O -5.27 4.62 -7.83 -0.094
O -4.97 5.64 -5.30 -0.082
H -7.03 5.22 -5.58 0.123
H -6.51 6.90 -5.67 0.130
H -5.25 6.64 -7.60 0.120
********

164
Properties=species:S:1:pos:R:3:lowdin_charge:R:1 method="wB97M-V/def2-TZVPD" mol_weight_g_mol=1064.41 total_charge=+1 lumo_energy_ev=-8.23 orbital_gap_ha=0.03276 homo_energy_ev=-9.124
Zn -2.91 2.67 -6.02 1.365
B -0.49 1.99 -0.76 -1.526
F -0.40 0.69 -0.39 0.140
F -1.22 2.61 0.17 0.159
F 0.72 2.60 -0.95 0.124
F -1.19 1.93 -1.91 0.114
C 4.75 -3.99 3.77 -0.823
O 4.34 -5.13 3.67 0.031
N 4.46 -3.14 2.85 0.155
N 5.51 -3.47 4.67 0.169
H 4.88 -2.23 2.86 0.107
H 4.01 -3.35 1.97 0.125
H 5.86 -4.06 5.42 0.122
H 6.00 -2.59 4.58 0.114
C 5.40 -12.11 5.09 -0.106
O 4.55 -11.87 3.95 -0.175
C 5.32 -11.27 2.91 -0.251
C 4.56 -11.20 1.66 -0.255
N 3.17 -10.90 1.86 -0.038
C 2.36 -11.00 0.58 -0.161
C 2.65 -9.98 -0.51 -0.277
O 2.45 -8.72 -0.05 -0.176
C 1.17 -8.22 -0.23 -0.117
H 5.14 -13.03 5.62 0.081
H 5.14 -11.35 5.82 0.079
H 6.47 -12.02 4.97 0.080
H 6.29 -11.76 2.84 0.117
H 5.55 -10.26 3.25 0.124
H 4.69 -12.17 1.17 0.128
H 4.90 -10.38 1.03 0.116
H 3.22 -9.92 2.11 0.107
H 1.37 -10.87 1.00 0.105
H 2.32 -12.01 0.17 0.114
H 2.18 -10.24 -1.46 0.120
H 3.70 -10.00 -0.81 0.115
H 0.68 -8.39 -1.19 0.088
H 1.26 -7.13 -0.14 0.091
H 0.62 -8.62 0.61 0.091
C 2.19 -3.04 10.56 -0.113
O 0.88 -2.60 10.22 -0.216
C 0.58 -1.27 10.72 -0.211
C -0.93 -1.16 10.58 -0.198
N -1.28 -0.62 9.24 -0.062
C -0.66 -1.43 8.17 -0.188
C -1.21 -1.00 6.74 -0.209
O -2.60 -1.26 6.77 -0.213
C -3.25 -0.87 5.53 -0.090
H 2.89 -2.38 10.03 0.083
H 2.44 -4.05 10.26 0.086
H 2.45 -2.96 11.61 0.079
H 1.02 -0.41 10.21 0.122
H 0.99 -1.25 11.73 0.113
H -1.21 -0.46 11.37 0.107
H -1.51 -2.05 10.80 0.119
H -2.25 -0.86 9.10 0.086
H -0.92 -2.47 8.34 0.121
H 0.38 -1.11 8.14 0.111
H -0.79 -1.67 5.99 0.116
H -0.98 0.03 6.50 0.116
H -4.31 -1.14 5.60 0.084
H -2.88 -1.47 4.70 0.076
H -3.01 0.13 5.19 0.083
C 8.30 -1.47 -5.39 -0.107
O 7.09 -2.00 -5.92 -0.215
C 5.84 -1.59 -5.24 -0.177
C 4.75 -2.69 -5.39 -0.225
N 4.37 -2.81 -6.79 -0.070
C 3.89 -4.17 -7.19 -0.178
C 3.98 -4.26 -8.72 -0.245
O 5.35 -4.53 -9.00 -0.172
C 5.53 -4.54 -10.44 -0.104
H 8.44 -1.69 -4.33 0.084
H 8.33 -0.39 -5.52 0.080
H 9.07 -1.91 -6.03 0.089
H 5.47 -0.67 -5.70 0.112
H 5.99 -1.47 -4.17 0.114
H 3.92 -2.50 -4.71 0.113
H 5.23 -3.58 -5.00 0.112
H 5.22 -2.67 -7.32 0.088
H 2.95 -4.54 -6.78 0.113
H 4.66 -4.81 -6.76 0.112
H 3.56 -3.38 -9.21 0.117
H 3.39 -5.12 -9.04 0.115
H 6.42 -5.09 -10.76 0.089
H 5.47 -3.55 -10.88 0.081
H 4.76 -5.00 -11.06 0.075
C -8.51 5.93 2.55 -0.079
O -7.48 6.77 1.97 -0.201
C -7.78 7.81 1.09 -0.213
C -6.46 8.70 1.00 -0.186
N -5.41 7.96 0.32 -0.079
C -4.11 8.64 0.30 -0.190
C -4.24 9.88 -0.61 -0.243
O -4.74 9.61 -1.92 -0.181
C -5.19 10.74 -2.64 -0.119
H -9.25 6.45 3.16 0.081
H -8.01 5.33 3.31 0.080
H -9.01 5.24 1.87 0.080
H -8.58 8.48 1.42 0.114
H -8.00 7.43 0.09 0.113
H -6.18 8.99 2.01 0.115
H -6.66 9.62 0.46 0.106
H -5.19 7.04 0.68 0.108
H -3.24 8.10 -0.05 0.119
H -3.90 8.95 1.32 0.114
H -3.30 10.43 -0.54 0.115
H -4.83 10.67 -0.14 0.101
H -4.43 11.37 -3.08 0.086
H -5.99 11.27 -2.11 0.088
H -5.74 10.40 -3.52 0.073
C -4.70 0.53 -4.90 -0.058
O -3.91 0.72 -6.08 -0.265
C -3.63 -0.56 -6.66 -0.139
C -2.51 -0.38 -7.73 -0.163
N -1.51 0.58 -7.29 -0.061
C -0.80 1.22 -8.38 -0.195
C 0.00 2.36 -7.81 -0.117
O -0.83 3.00 -6.79 -0.273
C -0.24 4.11 -6.19 -0.090
H -4.48 -0.29 -4.22 0.123
H -5.77 0.49 -5.08 0.111
H -4.60 1.43 -4.29 0.091
H -4.59 -0.94 -7.00 0.147
H -3.23 -1.31 -5.98 0.140
H -3.05 0.06 -8.57 0.119
H -2.17 -1.29 -8.23 0.144
H -0.70 0.08 -6.96 0.141
H -1.47 1.54 -9.18 0.134
H -0.08 0.55 -8.85 0.144
H 0.09 3.09 -8.61 0.146
H 0.96 2.07 -7.38 0.154
H 0.01 4.94 -6.85 0.108
H 0.77 3.85 -5.87 0.114
H -0.75 4.57 -5.35 0.107
C -2.92 5.65 8.69 -0.202
C -3.84 5.14 7.52 -0.249
O -4.94 6.02 7.46 -0.073
O -1.71 4.91 8.65 -0.106
H -3.26 5.36 9.68 0.117
H -2.55 6.68 8.61 0.125
H -4.26 4.15 7.68 0.115
H -3.32 5.10 6.56 0.118
H -5.27 5.73 6.61 0.077
H -1.90 3.98 8.66 0.076
C -6.23 5.87 -5.91 -0.232
C -5.95 5.82 -7.42 -0.215
O -5.27 4.62 -7.83 -0.094
O -4.97 5.64 -5.30 -0.082
H -7.03 5.22 -5.58 0.123
H -6.51 6.90 -5.67 0.130
H -5.25 6.64 -7.60 0.120